• Excerpt:
Entry 1:
C66H57AsCl3NO2P2SZn as an isolated structure, computed with ωB97M-V/def2-TZVPD.

Calculated values
- Charge: 0
- LUMO energy: 0.129 eV
- HOMO level: -6.89 eV
- F_max: 0.0164 Eh/bohr

```
134
Properties=species:S:1:pos:R:3:forces:R:3:lowdin_charge:R:1
Zn 0.3440 -0.0673 -0.6668 -0.5210 -0.4957 -0.4433 0.610
O 3.1371 -2.1697 0.9830 0.0946 -0.1997 -0.1022 -0.473
S 2.4551 -1.0300 1.6348 0.0026 0.3192 0.1912 0.840
C 3.7058 -0.2042 2.6477 -0.2127 0.2340 0.0661 -0.384
C 4.8023 -0.9624 3.0390 -0.0414 -0.2029 -0.1060 -0.072
C 5.7675 -0.3991 3.8513 0.0432 0.0363 0.0363 -0.059
C 5.6384 0.9218 4.2675 0.0258 0.0454 0.0184 -0.058
C 4.5615 1.6807 3.8470 -0.0116 -0.0983 -0.0383 -0.087
C 3.5757 1.1346 3.0189 -0.0109 -0.0499 -0.0103 -0.377
P 2.1169 2.1471 2.5056 0.0150 0.0148 0.1736 1.127
C 2.9259 3.5821 1.6955 -0.0581 -0.1439 -0.0365 -0.375
C 2.1134 4.6748 1.3824 -0.0326 -0.0631 -0.0677 -0.125
C 2.6418 5.7920 0.7559 -0.0456 0.0263 -0.0071 -0.080
C 3.9824 5.8199 0.3976 0.0322 -0.0078 0.0149 -0.086
C 4.7800 4.7128 0.6418 0.0139 -0.0039 -0.0130 -0.079
C 4.2566 3.5978 1.2839 -0.0309 0.0402 0.0236 -0.090
C 1.7080 2.7903 4.1957 0.0267 -0.0222 -0.1353 -0.354
C 1.6369 4.1310 4.5579 0.0326 -0.0435 0.0248 -0.081
C 1.2987 4.4944 5.8570 -0.0241 0.0186 0.0012 -0.080
C 1.0299 3.5278 6.8111 0.0294 0.0332 0.0167 -0.090
C 1.0970 2.1865 6.4587 -0.0467 -0.0355 0.0165 -0.079
C 1.4263 1.8250 5.1643 -0.0830 -0.0201 -0.0324 -0.106
C 1.4009 -1.7339 2.9258 -0.0925 -0.1037 -0.2386 -0.344
C 1.7174 -1.7125 4.2765 0.0040 0.0522 -0.0603 -0.078
C 0.8816 -2.3319 5.1928 0.0118 -0.0019 0.0569 -0.062
C -0.2613 -2.9744 4.7539 -0.0457 -0.0176 0.0337 -0.056
C -0.5831 -2.9916 3.4041 0.0736 0.0358 -0.0599 -0.057
C 0.2398 -2.3825 2.4583 0.0744 0.1959 -0.0051 -0.341
P -0.1914 -2.4080 0.6471 0.0702 -0.2788 0.6203 1.123
C -1.9131 -3.0497 0.7394 0.0143 0.1902 -0.0621 -0.369
C -2.9586 -2.1384 0.8834 0.0402 -0.1011 0.1269 -0.090
C -4.2639 -2.5851 1.0281 -0.0412 0.0625 0.0703 -0.075
C -4.5398 -3.9439 1.0208 0.0439 -0.0296 0.0108 -0.079
C -3.5054 -4.8559 0.8559 -0.0159 -0.0204 -0.0179 -0.071
C -2.1984 -4.4141 0.7113 0.0521 -0.0033 0.0084 -0.078
C 0.7011 -3.8829 0.0593 0.0365 0.1065 -0.0833 -0.372
C 1.4417 -4.7224 0.8838 -0.0399 -0.0311 -0.0275 -0.086
C 2.0233 -5.8665 0.3567 0.0051 -0.0064 0.0245 -0.072
C 1.8640 -6.1791 -0.9859 0.0229 0.0181 -0.0109 -0.079
C 1.1425 -5.3306 -1.8145 0.0010 -0.0222 -0.0138 -0.070
C 0.5680 -4.1820 -1.2941 -0.0206 0.0030 0.0159 -0.105
H 4.8773 -1.9901 2.7028 -0.0188 0.0337 -0.0275 0.116
H 6.6183 -0.9883 4.1687 -0.0152 -0.0058 -0.0079 0.109
H 6.3805 1.3616 4.9220 0.0143 -0.0105 -0.0318 0.109
H 4.4699 2.7121 4.1651 -0.0088 -0.0013 0.0088 0.119
H 1.0540 4.6384 1.6135 0.0065 0.0377 0.0414 0.110
H 2.0033 6.6392 0.5379 0.0043 -0.0230 0.0025 0.106
H 4.4008 6.6976 -0.0779 -0.0155 -0.0199 -0.0361 0.103
H 5.8188 4.7127 0.3361 -0.0127 0.0053 -0.0017 0.104
H 4.8932 2.7402 1.4555 0.0161 0.0068 0.0394 0.099
H 1.8628 4.9083 3.8438 0.0083 0.0269 -0.0716 0.088
H 1.2448 5.5440 6.1191 0.0241 -0.0169 -0.0081 0.104
H 0.7745 3.8148 7.8233 -0.0148 -0.0035 -0.0225 0.102
H 0.8812 1.4202 7.1936 0.0203 0.0022 -0.0135 0.103
H 1.4687 0.7737 4.9039 -0.0440 0.0357 -0.0114 0.078
H 2.6102 -1.2124 4.6234 0.0654 -0.0055 -0.0308 0.104
H 1.1266 -2.3080 6.2471 0.0162 -0.0167 -0.0152 0.111
H -0.9096 -3.4725 5.4639 -0.0224 0.0385 -0.0194 0.111
H -1.4901 -3.4861 3.0891 -0.0183 -0.0242 -0.0241 0.103
H -2.7567 -1.0762 0.8888 0.0220 0.1343 -0.0233 0.100
H -5.0634 -1.8616 1.1327 0.0297 -0.0170 0.0066 0.113
H -5.5573 -4.2963 1.1382 0.0059 0.0181 -0.0103 0.103
H -3.7148 -5.9184 0.8429 0.0071 0.0134 -0.0091 0.105
H -1.3997 -5.1345 0.5891 -0.0130 0.0040 -0.0113 0.107
H 1.5725 -4.4879 1.9317 0.0125 -0.0028 -0.0067 0.104
H 2.6085 -6.5145 0.9970 -0.0256 0.0006 0.0084 0.104
H 2.3103 -7.0807 -1.3864 0.0143 0.0233 -0.0110 0.102
H 1.0312 -5.5543 -2.8682 0.0000 0.0113 0.0133 0.097
H 0.0175 -3.5093 -1.9387 -0.0023 -0.0088 -0.0387 0.062
Cl 5.5006 -1.3076 -5.6811 0.0490 -0.0153 -0.0210 0.655

• Assignment:
Find "0.0269 -0.0716" and "4.6234 0.0654" in the data earlier on, and reproduce these two lines and those between, please.

• Completed:
H 1.8628 4.9083 3.8438 0.0083 0.0269 -0.0716 0.088
H 1.2448 5.5440 6.1191 0.0241 -0.0169 -0.0081 0.104
H 0.7745 3.8148 7.8233 -0.0148 -0.0035 -0.0225 0.102
H 0.8812 1.4202 7.1936 0.0203 0.0022 -0.0135 0.103
H 1.4687 0.7737 4.9039 -0.0440 0.0357 -0.0114 0.078
H 2.6102 -1.2124 4.6234 0.0654 -0.0055 -0.0308 0.104